-- Contents --
- - -
Record 1
Structure and computed XRD peak list of CsKZnSe2 (a crystal structure in Alexandria, relaxed with GGA-PBE; Cu Kα, 1.54184 Å).
Peak positions follow from Bragg's law for the DFT cell and can differ from measured ones.

Structural model:
Cell lengths 5.848, 8.321, 6.917 Å; angles 90.00, 90.00, 90.00 degrees
Element x y z (fractional)
Cs  0.250  0.000  0.224
Cs  0.750  0.000  0.776
K  0.250  0.500  0.413
K  0.750  0.500  0.587
Zn  0.000  0.500  0.000
Zn  0.500  0.500  0.000
Se  0.250  0.288  0.817
Se  0.250  0.712  0.817
Se  0.750  0.288  0.183
Se  0.750  0.712  0.183

Main lines, low angle first (2θ from 10° to 90°):
Position (°2θ)  intensity
12.80  34
22.60  49
27.94  26
29.34  100
30.57  19
40.39  21
41.75  19
43.54  24
45.05  14
53.58  18

Record 2
Structure and computed XRD peak list of KPa2Se4 (a crystal structure in Alexandria, relaxed with GGA-PBE; Cu Kα, 1.54184 Å).
Peak positions follow from Bragg's law for the DFT cell and can differ from measured ones.

Structural model:
Cell lengths 8.683, 8.683, 8.683 Å; angles 117.90, 117.90, 93.67 degrees
Element x y z (fractional)
K  0.000  0.000  0.000
K  0.750  0.250  0.500
Pa  0.374  0.125  0.749
Pa  0.375  0.626  0.751
Pa  0.376  0.625  0.251
Pa  0.875  0.624  0.249
Se  0.133  0.840  0.706
Se  0.134  0.427  0.294
Se  0.160  0.866  0.293
Se  0.177  0.384  0.794
Se  0.573  0.867  0.707
Se  0.590  0.383  0.206
Se  0.616  0.410  0.793
Se  0.617  0.823  0.207

Main lines, low angle first (2θ from 10° to 90°):
Position (°2θ)  intensity
12.38  100
23.44  37
24.58  26
28.18  58
30.09  28
36.97  35
40.28  25
41.69  50
42.98  14
51.08  20

Record 3
Structure and computed XRD peak list of LiSbP2O7 (a crystal structure in Alexandria, relaxed with GGA-PBE; Cu Kα, 1.54184 Å).
Peak positions follow from Bragg's law for the DFT cell and can differ from measured ones.

Structural model:
Cell lengths 4.937, 8.996, 7.558 Å; angles 90.00, 105.76, 90.00 degrees
Element x y z (fractional)
Li  0.202  0.000  0.153
Li  0.798  0.500  0.847
Sb  0.200  0.349  0.223
Sb  0.800  0.849  0.777
P  0.219  0.037  0.579
P  0.417  0.668  0.073
P  0.583  0.168  0.927
P  0.781  0.537  0.421
O  0.070  0.522  0.383
O  0.204  0.086  0.386
O  0.230  0.524  0.041
O  0.242  0.808  0.056
O  0.386  0.890  0.637
O  0.387  0.163  0.053
O  0.393  0.166  0.715
O  0.607  0.666  0.285
O  0.613  0.663  0.947
O  0.614  0.390  0.363
O  0.758  0.308  0.944
O  0.770  0.024  0.959
O  0.796  0.586  0.614
O  0.930  0.022  0.617

Main lines, low angle first (2θ from 10° to 90°):
Position (°2θ)  intensity
15.67  100
19.34  12
21.15  23
21.74  15
25.01  23
27.77  34
28.34  28
31.64  20
32.29  15
37.86  13

Record 4
Structure and computed XRD peak list of Mg5Tl6Pb2 (a crystal structure in Alexandria, relaxed with GGA-PBE; Cu Kα, 1.54184 Å).
Peak positions follow from Bragg's law for the DFT cell and can differ from measured ones.

Structural model:
Cell lengths 10.940, 18.449, 3.516 Å; angles 90.00, 90.00, 90.00 degrees
Element x y z (fractional)
Mg  0.000  0.000  0.000
Mg  0.093  0.268  0.000
Mg  0.198  0.553  0.000
Mg  0.302  0.053  0.000
Mg  0.407  0.768  0.000
Mg  0.500  0.500  0.000
Mg  0.593  0.232  0.000
Mg  0.698  0.947  0.000
Mg  0.802  0.447  0.000
Mg  0.907  0.732  0.000
Tl  0.038  0.414  0.500
Tl  0.088  0.127  0.500
Tl  0.199  0.890  0.000
Tl  0.301  0.390  0.000
Tl  0.412  0.627  0.500
Tl  0.462  0.914  0.500
Tl  0.538  0.086  0.500
Tl  0.588  0.373  0.500
Tl  0.699  0.610  0.000
Tl  0.801  0.110  0.000
Tl  0.912  0.873  0.500
Tl  0.962  0.586  0.500
Pb  0.156  0.735  0.500
Pb  0.344  0.235  0.500
Pb  0.656  0.765  0.500
Pb  0.844  0.265  0.500

Main lines, low angle first (2θ from 10° to 90°):
Position (°2θ)  intensity
21.74  33
28.37  41
29.04  30
30.21  34
33.11  46
33.63  100
34.58  27
35.02  24
36.08  53
39.04  33

Record 5
Structure and computed XRD peak list of Ti2Tl2Te6Pd (a crystal structure in Alexandria, relaxed with GGA-PBE; Cu Kα, 1.54184 Å).
- - -

-- Job --
The reader should reproduce the calculation results further up character by character.

-- Response --
Record 1
Structure and computed XRD peak list of CsKZnSe2 (a crystal structure in Alexandria, relaxed with GGA-PBE; Cu Kα, 1.54184 Å).
Peak positions follow from Bragg's law for the DFT cell and can differ from measured ones.

Structural model:
Cell lengths 5.848, 8.321, 6.917 Å; angles 90.00, 90.00, 90.00 degrees
Element x y z (fractional)
Cs  0.250  0.000  0.224
Cs  0.750  0.000  0.776
K  0.250  0.500  0.413
K  0.750  0.500  0.587
Zn  0.000  0.500  0.000
Zn  0.500  0.500  0.000
Se  0.250  0.288  0.817
Se  0.250  0.712  0.817
Se  0.750  0.288  0.183
Se  0.750  0.712  0.183

Main lines, low angle first (2θ from 10° to 90°):
Position (°2θ)  intensity
12.80  34
22.60  49
27.94  26
29.34  100
30.57  19
40.39  21
41.75  19
43.54  24
45.05  14
53.58  18

Record 2
Structure and computed XRD peak list of KPa2Se4 (a crystal structure in Alexandria, relaxed with GGA-PBE; Cu Kα, 1.54184 Å).
Peak positions follow from Bragg's law for the DFT cell and can differ from measured ones.

Structural model:
Cell lengths 8.683, 8.683, 8.683 Å; angles 117.90, 117.90, 93.67 degrees
Element x y z (fractional)
K  0.000  0.000  0.000
K  0.750  0.250  0.500
Pa  0.374  0.125  0.749
Pa  0.375  0.626  0.751
Pa  0.376  0.625  0.251
Pa  0.875  0.624  0.249
Se  0.133  0.840  0.706
Se  0.134  0.427  0.294
Se  0.160  0.866  0.293
Se  0.177  0.384  0.794
Se  0.573  0.867  0.707
Se  0.590  0.383  0.206
Se  0.616  0.410  0.793
Se  0.617  0.823  0.207

Main lines, low angle first (2θ from 10° to 90°):
Position (°2θ)  intensity
12.38  100
23.44  37
24.58  26
28.18  58
30.09  28
36.97  35
40.28  25
41.69  50
42.98  14
51.08  20

Record 3
Structure and computed XRD peak list of LiSbP2O7 (a crystal structure in Alexandria, relaxed with GGA-PBE; Cu Kα, 1.54184 Å).
Peak positions follow from Bragg's law for the DFT cell and can differ from measured ones.

Structural model:
Cell lengths 4.937, 8.996, 7.558 Å; angles 90.00, 105.76, 90.00 degrees
Element x y z (fractional)
Li  0.202  0.000  0.153
Li  0.798  0.500  0.847
Sb  0.200  0.349  0.223
Sb  0.800  0.849  0.777
P  0.219  0.037  0.579
P  0.417  0.668  0.073
P  0.583  0.168  0.927
P  0.781  0.537  0.421
O  0.070  0.522  0.383
O  0.204  0.086  0.386
O  0.230  0.524  0.041
O  0.242  0.808  0.056
O  0.386  0.890  0.637
O  0.387  0.163  0.053
O  0.393  0.166  0.715
O  0.607  0.666  0.285
O  0.613  0.663  0.947
O  0.614  0.390  0.363
O  0.758  0.308  0.944
O  0.770  0.024  0.959
O  0.796  0.586  0.614
O  0.930  0.022  0.617

Main lines, low angle first (2θ from 10° to 90°):
Position (°2θ)  intensity
15.67  100
19.34  12
21.15  23
21.74  15
25.01  23
27.77  34
28.34  28
31.64  20
32.29  15
37.86  13

Record 4
Structure and computed XRD peak list of Mg5Tl6Pb2 (a crystal structure in Alexandria, relaxed with GGA-PBE; Cu Kα, 1.54184 Å).
Peak positions follow from Bragg's law for the DFT cell and can differ from measured ones.

Structural model:
Cell lengths 10.940, 18.449, 3.516 Å; angles 90.00, 90.00, 90.00 degrees
Element x y z (fractional)
Mg  0.000  0.000  0.000
Mg  0.093  0.268  0.000
Mg  0.198  0.553  0.000
Mg  0.302  0.053  0.000
Mg  0.407  0.768  0.000
Mg  0.500  0.500  0.000
Mg  0.593  0.232  0.000
Mg  0.698  0.947  0.000
Mg  0.802  0.447  0.000
Mg  0.907  0.732  0.000
Tl  0.038  0.414  0.500
Tl  0.088  0.127  0.500
Tl  0.199  0.890  0.000
Tl  0.301  0.390  0.000
Tl  0.412  0.627  0.500
Tl  0.462  0.914  0.500
Tl  0.538  0.086  0.500
Tl  0.588  0.373  0.500
Tl  0.699  0.610  0.000
Tl  0.801  0.110  0.000
Tl  0.912  0.873  0.500
Tl  0.962  0.586  0.500
Pb  0.156  0.735  0.500
Pb  0.344  0.235  0.500
Pb  0.656  0.765  0.500
Pb  0.844  0.265  0.500

Main lines, low angle first (2θ from 10° to 90°):
Position (°2θ)  intensity
21.74  33
28.37  41
29.04  30
30.21  34
33.11  46
33.63  100
34.58  27
35.02  24
36.08  53
39.04  33

Record 5
Structure and computed XRD peak list of Ti2Tl2Te6Pd (a crystal structure in Alexandria, relaxed with GGA-PBE; Cu Kα, 1.54184 Å).